Next, type out all of the calculation results underneath word for word.

-- begin --
Formula: C23H16Co2NO6
Source: the Open Molecules 2025 dataset
Level of theory: ωB97M-V/def2-TZVPD

Geometry (Å):
C1 -1.181 -2.436 -0.118
N1 -1.030 -1.388 -1.129
C2 -0.820 -1.759 -2.377
C3 -0.414 -0.860 -3.439
C4 -1.274 -0.709 -4.550
C5 -1.001 0.232 -5.519
C6 0.179 0.992 -5.450
C7 1.096 0.773 -4.408
C8 0.808 -0.136 -3.399
H1 -0.199 -2.760 0.240
H2 -1.746 -2.049 0.716
H3 -1.673 -3.312 -0.545
H4 -1.037 -2.810 -2.600
H5 -2.169 -1.336 -4.575
H6 -1.713 0.392 -6.330
H7 0.365 1.762 -6.193
H8 2.029 1.338 -4.384
H9 1.503 -0.313 -2.580
O1 -1.712 -1.974 3.475
C9 -1.590 -0.845 3.254
Co1 -1.390 0.826 2.812
C10 -3.080 1.249 3.049
O2 -4.195 1.463 3.253
C11 -0.619 1.509 4.228
O3 -0.223 1.893 5.245
C12 0.161 0.457 1.426
C13 1.349 -0.333 1.799
C14 2.082 -0.133 2.984
C15 3.121 -1.008 3.323
C16 3.437 -2.093 2.506
C17 2.760 -2.258 1.296
C18 1.775 -1.343 0.913
C19 -0.564 0.607 0.299
C20 -1.345 -0.044 -0.753
Co2 -0.305 2.197 1.067
C21 0.670 3.035 2.279
O4 1.238 3.706 3.034
C22 -1.875 3.028 1.537
O5 -2.642 3.888 1.645
C23 0.243 3.238 -0.263
O6 0.615 4.101 -0.934
H10 1.869 0.728 3.625
H11 3.686 -0.835 4.240
H12 4.201 -2.805 2.800
H13 2.998 -3.084 0.631
H14 1.318 -1.366 -0.079
H15 -1.304 0.592 -1.650
H16 -2.404 -0.018 -0.402

## Properties
E_HOMO	-1.414	eV
energy relative to the best compared isomer or geometry (same formula, charge and spin)	53.3	kcal per mole
charge	-1
gap between HOMO and LUMO	3.294	eV
F_max	0.071	Eh/bohr

***

Formula: C19H26FN3O
Source: the Open Molecules 2025 dataset
Level of theory: ωB97M-V/def2-TZVPD

Geometry (Å):
C1 -3.279 -3.676 0.366
C2 -2.516 -2.659 -0.472
C3 -3.442 -1.567 -1.013
O1 -2.766 -0.610 -1.795
C4 -2.058 0.386 -1.072
C5 -2.809 1.719 -1.104
C6 -1.964 2.784 -0.417
C7 -0.584 2.863 -1.064
N1 0.069 1.573 -0.975
C8 -0.675 0.566 -1.701
H1 -0.135 -0.382 -1.650
H2 -0.803 0.830 -2.766
C9 1.466 1.615 -1.365
C10 2.182 0.387 -0.909
C11 3.182 -0.300 -1.562
N2 3.499 -1.371 -0.803
N3 2.757 -1.431 0.292
C12 1.955 -0.372 0.264
C13 0.951 -0.159 1.300
C14 0.687 1.093 1.847
C15 -0.318 1.291 2.775
C16 -1.080 0.212 3.190
C17 -0.810 -1.053 2.695
C18 0.197 -1.234 1.765
H3 0.420 -2.216 1.376
H4 -1.388 -1.900 3.033
H5 -1.873 0.360 3.907
H6 -0.486 2.281 3.169
F1 1.454 2.153 1.515
C19 4.499 -2.364 -1.064
H7 4.300 -2.873 -2.009
H8 4.467 -3.085 -0.249
H9 5.492 -1.912 -1.107
H10 3.678 -0.099 -2.491
H11 1.919 2.491 -0.889
H12 1.593 1.723 -2.459
H13 0.029 3.594 -0.531
H14 -0.686 3.196 -2.114
H15 -2.454 3.757 -0.480
H16 -1.841 2.524 0.636
H17 -3.777 1.614 -0.609
H18 -2.990 1.989 -2.146
H19 -1.918 0.081 -0.027
H20 -3.971 -1.081 -0.180
H21 -4.186 -2.010 -1.682
H22 -1.734 -2.195 0.132
H23 -2.035 -3.155 -1.318
H24 -4.051 -4.159 -0.228
H25 -2.604 -4.441 0.741
H26 -3.755 -3.189 1.215

## Properties
E_HOMO	-8.242	eV
structure (SMILES)	CCCO[C@@H]1CCCN(Cc2cn(C)nc2-c2ccccc2F)C1
energy relative to the best compared isomer or geometry (same formula, charge and spin)	0.0	kcal per mole
gap between HOMO and LUMO	9.075	eV
F_max	0.015	Eh/bohr

***

Formula: C4H10F12KO2P2
Source: the Open Molecules 2025 dataset
Level of theory: ωB97M-V/def2-TZVPD

Geometry (Å):
K1 -0.802 -0.685 -1.331
P1 -1.709 -1.805 2.709
F1 -3.242 -1.665 2.187
F2 -1.932 -0.508 3.654
F3 -2.178 -2.778 3.899
F4 -0.179 -1.901 3.202
F5 -1.488 -3.058 1.713
F6 -1.252 -0.802 1.487
P2 1.930 -2.827 -2.210
F7 2.529 -1.606 -1.328
F8 0.946 -1.725 -2.985
F9 3.082 -2.574 -3.310
F10 1.298 -3.987 -3.137
F11 2.814 -3.895 -1.426
F12 0.727 -3.019 -1.119
C1 -2.598 1.521 0.716
O1 -1.337 1.671 0.071
C2 -0.571 2.740 0.488
C3 0.859 2.432 0.070
O2 0.871 1.982 -1.272
C4 2.186 1.697 -1.718
H1 -2.449 1.498 1.797
H2 -3.048 0.589 0.397
H3 -3.232 2.378 0.453
H4 -0.569 2.869 1.582
H5 -0.938 3.691 0.064
H6 1.220 1.617 0.708
H7 1.459 3.342 0.170
H8 2.808 2.598 -1.754
H9 2.120 1.251 -2.708
H10 2.675 0.960 -1.068

## Properties
E_HOMO	-8.101	eV
energy relative to the best compared isomer or geometry (same formula, charge and spin)	0.0	kcal per mole
charge	-1
gap between HOMO and LUMO	10.037	eV
F_max	0.026	Eh/bohr

***
-- stop --

Formula: C23H16Co2NO6
Source: the Open Molecules 2025 dataset
Level of theory: ωB97M-V/def2-TZVPD

Geometry (Å):
C1 -1.181 -2.436 -0.118
N1 -1.030 -1.388 -1.129
C2 -0.820 -1.759 -2.377
C3 -0.414 -0.860 -3.439
C4 -1.274 -0.709 -4.550
C5 -1.001 0.232 -5.519
C6 0.179 0.992 -5.450
C7 1.096 0.773 -4.408
C8 0.808 -0.136 -3.399
H1 -0.199 -2.760 0.240
H2 -1.746 -2.049 0.716
H3 -1.673 -3.312 -0.545
H4 -1.037 -2.810 -2.600
H5 -2.169 -1.336 -4.575
H6 -1.713 0.392 -6.330
H7 0.365 1.762 -6.193
H8 2.029 1.338 -4.384
H9 1.503 -0.313 -2.580
O1 -1.712 -1.974 3.475
C9 -1.590 -0.845 3.254
Co1 -1.390 0.826 2.812
C10 -3.080 1.249 3.049
O2 -4.195 1.463 3.253
C11 -0.619 1.509 4.228
O3 -0.223 1.893 5.245
C12 0.161 0.457 1.426
C13 1.349 -0.333 1.799
C14 2.082 -0.133 2.984
C15 3.121 -1.008 3.323
C16 3.437 -2.093 2.506
C17 2.760 -2.258 1.296
C18 1.775 -1.343 0.913
C19 -0.564 0.607 0.299
C20 -1.345 -0.044 -0.753
Co2 -0.305 2.197 1.067
C21 0.670 3.035 2.279
O4 1.238 3.706 3.034
C22 -1.875 3.028 1.537
O5 -2.642 3.888 1.645
C23 0.243 3.238 -0.263
O6 0.615 4.101 -0.934
H10 1.869 0.728 3.625
H11 3.686 -0.835 4.240
H12 4.201 -2.805 2.800
H13 2.998 -3.084 0.631
H14 1.318 -1.366 -0.079
H15 -1.304 0.592 -1.650
H16 -2.404 -0.018 -0.402

## Properties
E_HOMO	-1.414	eV
energy relative to the best compared isomer or geometry (same formula, charge and spin)	53.3	kcal per mole
charge	-1
gap between HOMO and LUMO	3.294	eV
F_max	0.071	Eh/bohr

***

Formula: C19H26FN3O
Source: the Open Molecules 2025 dataset
Level of theory: ωB97M-V/def2-TZVPD

Geometry (Å):
C1 -3.279 -3.676 0.366
C2 -2.516 -2.659 -0.472
C3 -3.442 -1.567 -1.013
O1 -2.766 -0.610 -1.795
C4 -2.058 0.386 -1.072
C5 -2.809 1.719 -1.104
C6 -1.964 2.784 -0.417
C7 -0.584 2.863 -1.064
N1 0.069 1.573 -0.975
C8 -0.675 0.566 -1.701
H1 -0.135 -0.382 -1.650
H2 -0.803 0.830 -2.766
C9 1.466 1.615 -1.365
C10 2.182 0.387 -0.909
C11 3.182 -0.300 -1.562
N2 3.499 -1.371 -0.803
N3 2.757 -1.431 0.292
C12 1.955 -0.372 0.264
C13 0.951 -0.159 1.300
C14 0.687 1.093 1.847
C15 -0.318 1.291 2.775
C16 -1.080 0.212 3.190
C17 -0.810 -1.053 2.695
C18 0.197 -1.234 1.765
H3 0.420 -2.216 1.376
H4 -1.388 -1.900 3.033
H5 -1.873 0.360 3.907
H6 -0.486 2.281 3.169
F1 1.454 2.153 1.515
C19 4.499 -2.364 -1.064
H7 4.300 -2.873 -2.009
H8 4.467 -3.085 -0.249
H9 5.492 -1.912 -1.107
H10 3.678 -0.099 -2.491
H11 1.919 2.491 -0.889
H12 1.593 1.723 -2.459
H13 0.029 3.594 -0.531
H14 -0.686 3.196 -2.114
H15 -2.454 3.757 -0.480
H16 -1.841 2.524 0.636
H17 -3.777 1.614 -0.609
H18 -2.990 1.989 -2.146
H19 -1.918 0.081 -0.027
H20 -3.971 -1.081 -0.180
H21 -4.186 -2.010 -1.682
H22 -1.734 -2.195 0.132
H23 -2.035 -3.155 -1.318
H24 -4.051 -4.159 -0.228
H25 -2.604 -4.441 0.741
H26 -3.755 -3.189 1.215

## Properties
E_HOMO	-8.242	eV
structure (SMILES)	CCCO[C@@H]1CCCN(Cc2cn(C)nc2-c2ccccc2F)C1
energy relative to the best compared isomer or geometry (same formula, charge and spin)	0.0	kcal per mole
gap between HOMO and LUMO	9.075	eV
F_max	0.015	Eh/bohr

***

Formula: C4H10F12KO2P2
Source: the Open Molecules 2025 dataset
Level of theory: ωB97M-V/def2-TZVPD

Geometry (Å):
K1 -0.802 -0.685 -1.331
P1 -1.709 -1.805 2.709
F1 -3.242 -1.665 2.187
F2 -1.932 -0.508 3.654
F3 -2.178 -2.778 3.899
F4 -0.179 -1.901 3.202
F5 -1.488 -3.058 1.713
F6 -1.252 -0.802 1.487
P2 1.930 -2.827 -2.210
F7 2.529 -1.606 -1.328
F8 0.946 -1.725 -2.985
F9 3.082 -2.574 -3.310
F10 1.298 -3.987 -3.137
F11 2.814 -3.895 -1.426
F12 0.727 -3.019 -1.119
C1 -2.598 1.521 0.716
O1 -1.337 1.671 0.071
C2 -0.571 2.740 0.488
C3 0.859 2.432 0.070
O2 0.871 1.982 -1.272
C4 2.186 1.697 -1.718
H1 -2.449 1.498 1.797
H2 -3.048 0.589 0.397
H3 -3.232 2.378 0.453
H4 -0.569 2.869 1.582
H5 -0.938 3.691 0.064
H6 1.220 1.617 0.708
H7 1.459 3.342 0.170
H8 2.808 2.598 -1.754
H9 2.120 1.251 -2.708
H10 2.675 0.960 -1.068

## Properties
E_HOMO	-8.101	eV
energy relative to the best compared isomer or geometry (same formula, charge and spin)	0.0	kcal per mole
charge	-1
gap between HOMO and LUMO	10.037	eV
F_max	0.026	Eh/bohr

***